┌──
A geometry-optimized HfTi2BiF structure, computed with PBE.

- Total energy: -6.4033 eV per atom
- Crystal system: tetragonal
- Calculated volume: 22.33 A^3/atom

Structure (CIF):
```
data_HfTi2BiF
_cell_length_a 5.2517
_cell_length_b 5.2517
_cell_length_c 4.0485
_cell_angle_alpha 90.00
_cell_angle_beta 90.00
_cell_angle_gamma 90.00
_space_group_name_H-M_alt 'P 4/m m m'
_space_group_IT_number 123
_space_group_name_Hall '-P 4 2'
loop_
_atom_site_label
_atom_site_type_symbol
_atom_site_fract_x
_atom_site_fract_y
_atom_site_fract_z
Hf1 Hf 0.0000 0.0000 0.0000
Ti1 Ti 0.0000 0.5000 0.0000
Bi1 Bi 0.5000 0.5000 0.5000
F1 F 0.0000 0.0000 0.5000
```
└──

Please quote every line above that contains the word "system".

- Crystal system: tetragonal